• To do:
Set down the calculation results further below from the first line to the one with "C5H8N2 in" character by character.

• File:
┌──
[1]
The following is a quantum chemistry calculation of an isolated molecule of C5H6O2 in a non-equilibrium geometry, from OMol25.

```
13
Properties=species:S:1:pos:R:3
C 1.485 -0.925 0.181
C 0.157 0.025 0.285
O -0.098 0.348 -1.077
C -0.250 1.618 -1.439
O -0.419 2.570 -0.724
C -1.085 -0.560 0.893
C -2.146 -0.971 1.305
H 1.368 -1.908 -0.318
H 1.539 -0.930 1.237
H 2.362 -0.477 -0.337
H 0.325 0.962 0.879
H -0.155 1.631 -2.532
H -3.082 -1.381 1.646
```

For the lowest unoccupied orbital energy, the calculation gives 0.932 eV. For the energy relative to the best compared isomer or geometry (same formula, charge and spin), the calculation gives 62.34 kcal per mole. The HOMO-LUMO gap is 0.41601 hartree. As for the structure (SMILES): C#C[C@@H](C)OC=O. The calculation puts the electronic energy at -9374.393 eV.



[2]
The following is a quantum chemistry calculation of an isolated molecule of C17H24N2O5S in a non-equilibrium geometry, from OMol25.

```
49
Properties=species:S:1:pos:R:3
C 7.907 0.303 0.773
H 8.222 0.723 1.726
O 6.616 0.792 0.525
C 6.073 0.331 -0.692
C 4.674 0.912 -0.856
H 4.290 0.653 -1.843
H 4.740 1.999 -0.778
C 3.730 0.381 0.225
N 2.423 0.989 0.146
C 1.332 0.334 -0.310
O 1.349 -0.840 -0.632
C 0.084 1.158 -0.347
C -0.287 1.904 0.689
C -1.605 2.613 0.737
N -2.547 2.099 -0.224
S -3.646 0.956 0.314
O -3.967 1.316 1.665
O -4.695 0.915 -0.662
C -2.787 -0.610 0.287
C -1.801 -0.865 1.218
C -1.004 -1.987 1.089
C -1.206 -2.865 0.023
C -2.258 -2.630 -0.870
C -3.035 -1.498 -0.745
H -3.829 -1.275 -1.440
H -2.420 -3.337 -1.668
O -0.456 -3.959 -0.221
C 0.781 -4.081 0.449
H 1.286 -4.924 -0.020
H 1.376 -3.174 0.318
H 0.643 -4.291 1.514
H -0.221 -2.164 1.808
H -1.662 -0.181 2.040
C -2.005 1.899 -1.544
C -0.775 0.978 -1.566
H -0.179 1.189 -2.458
H -1.064 -0.074 -1.621
H -2.811 1.489 -2.153
H -1.734 2.884 -1.940
H -2.071 2.506 1.719
H -1.460 3.687 0.551
H 0.339 2.000 1.565
H 2.360 1.978 0.325
H 3.584 -0.694 0.099
H 4.167 0.576 1.207
H 6.714 0.647 -1.531
H 6.030 -0.770 -0.693
H 8.608 0.611 -0.013
H 7.912 -0.793 0.837
```

For the lowest unoccupied orbital energy, the calculation gives 0.563 eV. For the energy relative to the best compared isomer or geometry (same formula, charge and spin), the calculation gives 54.24 kcal per mole. The HOMO-LUMO gap is 0.33947 hartree. As for the structure (SMILES): COCCCNC(=O)C1=CCN(S(=O)(=O)c2ccc(OC)cc2)CC1. The calculation puts the electronic energy at -42070.439 eV.



[3]
The following is a quantum chemistry calculation of an isolated molecule of C5H8N2 in a non-equilibrium geometry, from OMol25.

```
15
Properties=species:S:1:pos:R:3
C 0.545 0.088 -2.378
C 0.109 -0.060 -0.956
C -0.880 -0.881 -0.469
N -0.970 -0.742 0.887
C -0.032 0.195 1.287
N -0.160 0.642 2.572
C 0.536 0.767 0.055
H 0.481 1.135 -2.702
H 1.590 -0.225 -2.514
H -0.077 -0.514 -3.051
H -1.513 -1.582 -1.000
H -1.642 -1.190 1.495
H 0.593 0.359 3.242
H -0.047 1.677 2.680
H 1.466 0.331 0.851
```

For the lowest unoccupied orbital energy, the calculation gives 0.858 eV. For the energy relative to the best compared isomer or geometry (same formula, charge and spin), the calculation gives 73.65 kcal per mole. The HOMO-LUMO gap is 0.32692 hartree. As for the structure (SMILES): Cc1c[nH]c(N)c1. The calculation puts the electronic energy at -8291.802 eV.



[4]
The following is a quantum chemistry calculation of a 3-piece molecular cluster, C23H32ClN5O17P3 overall in a non-equilibrium geometry, from OMol25.

```
81
Properties=species:S:1:pos:R:3
C 3.115 -2.111 -2.138
C 2.371 -0.979 -2.816
O 2.203 0.091 -1.837
P 2.445 1.536 -2.446
O 1.664 1.780 -3.659
C 2.165 2.779 -1.167
C 0.822 2.660 -0.399
N 0.243 1.329 -0.415
C -0.617 0.857 -1.336
N -1.133 -0.378 -1.251
C -1.913 -0.505 -2.299
P -2.816 -2.056 -2.605
O -3.147 -2.216 -4.013
O -1.938 -3.217 -2.071
O -4.101 -2.092 -1.694
N -1.913 0.600 -3.025
Cl -2.775 0.841 -4.447
N -1.072 1.502 -2.428
C -0.844 2.792 -3.045
C -1.892 3.889 -2.694
C -3.245 3.392 -2.258
N -3.308 2.624 -1.042
O -4.240 3.652 -2.914
└──

• Outcome:
[1]
The following is a quantum chemistry calculation of an isolated molecule of C5H6O2 in a non-equilibrium geometry, from OMol25.

```
13
Properties=species:S:1:pos:R:3
C 1.485 -0.925 0.181
C 0.157 0.025 0.285
O -0.098 0.348 -1.077
C -0.250 1.618 -1.439
O -0.419 2.570 -0.724
C -1.085 -0.560 0.893
C -2.146 -0.971 1.305
H 1.368 -1.908 -0.318
H 1.539 -0.930 1.237
H 2.362 -0.477 -0.337
H 0.325 0.962 0.879
H -0.155 1.631 -2.532
H -3.082 -1.381 1.646
```

For the lowest unoccupied orbital energy, the calculation gives 0.932 eV. For the energy relative to the best compared isomer or geometry (same formula, charge and spin), the calculation gives 62.34 kcal per mole. The HOMO-LUMO gap is 0.41601 hartree. As for the structure (SMILES): C#C[C@@H](C)OC=O. The calculation puts the electronic energy at -9374.393 eV.



[2]
The following is a quantum chemistry calculation of an isolated molecule of C17H24N2O5S in a non-equilibrium geometry, from OMol25.

```
49
Properties=species:S:1:pos:R:3
C 7.907 0.303 0.773
H 8.222 0.723 1.726
O 6.616 0.792 0.525
C 6.073 0.331 -0.692
C 4.674 0.912 -0.856
H 4.290 0.653 -1.843
H 4.740 1.999 -0.778
C 3.730 0.381 0.225
N 2.423 0.989 0.146
C 1.332 0.334 -0.310
O 1.349 -0.840 -0.632
C 0.084 1.158 -0.347
C -0.287 1.904 0.689
C -1.605 2.613 0.737
N -2.547 2.099 -0.224
S -3.646 0.956 0.314
O -3.967 1.316 1.665
O -4.695 0.915 -0.662
C -2.787 -0.610 0.287
C -1.801 -0.865 1.218
C -1.004 -1.987 1.089
C -1.206 -2.865 0.023
C -2.258 -2.630 -0.870
C -3.035 -1.498 -0.745
H -3.829 -1.275 -1.440
H -2.420 -3.337 -1.668
O -0.456 -3.959 -0.221
C 0.781 -4.081 0.449
H 1.286 -4.924 -0.020
H 1.376 -3.174 0.318
H 0.643 -4.291 1.514
H -0.221 -2.164 1.808
H -1.662 -0.181 2.040
C -2.005 1.899 -1.544
C -0.775 0.978 -1.566
H -0.179 1.189 -2.458
H -1.064 -0.074 -1.621
H -2.811 1.489 -2.153
H -1.734 2.884 -1.940
H -2.071 2.506 1.719
H -1.460 3.687 0.551
H 0.339 2.000 1.565
H 2.360 1.978 0.325
H 3.584 -0.694 0.099
H 4.167 0.576 1.207
H 6.714 0.647 -1.531
H 6.030 -0.770 -0.693
H 8.608 0.611 -0.013
H 7.912 -0.793 0.837
```

For the lowest unoccupied orbital energy, the calculation gives 0.563 eV. For the energy relative to the best compared isomer or geometry (same formula, charge and spin), the calculation gives 54.24 kcal per mole. The HOMO-LUMO gap is 0.33947 hartree. As for the structure (SMILES): COCCCNC(=O)C1=CCN(S(=O)(=O)c2ccc(OC)cc2)CC1. The calculation puts the electronic energy at -42070.439 eV.



[3]
The following is a quantum chemistry calculation of an isolated molecule of C5H8N2 in a non-equilibrium geometry, from OMol25.